Request:
Count the lines further below that contain the word "zero" and give the number alone.
Input:
********
# 1
This record from the Open Molecules 2025 dataset describes a molecular structure, C31H42BrMgN3P2 in a non-equilibrium geometry. The level of theory is ωB97M-V/def2-TZVPD.

Computed properties:
Relative energy (zero: lowest compared OMol25 entry of this formula, charge and spin), kcal/mol: 122.4
HOMO energy (alpha / beta), Eh: -0.4429 / -0.4429
Maximum force, Eh/bohr: 0.0592
Total charge: +2
HOMO-LUMO gap (alpha / beta), eV: 4.182 / 4.157

Last column: Mulliken charge in e.
CARTESIAN COORDINATES (ANGSTROEM)
1 H -2.1777 -1.8488 -7.0375  0.3000
2 H 3.4110 -4.4194 -0.3121  0.4127
3 H 1.8325 0.7324 1.7962  0.4100
4 C 3.6398 0.1212 -0.6532  -0.3870
5 C -2.6874 -1.5576 -4.8986  0.2071
6 H -3.4444 -0.6374 -6.6975  0.3916
7 C -3.2212 -3.0647 -2.2938  -0.0519
8 H 4.2351 -3.1552 -1.2381  0.2478
9 H -0.4504 7.5961 -4.9103  0.4045
10 C 0.0549 2.8183 3.8378  -0.2802
11 H 1.4038 -2.9279 0.0078  0.5571
12 H 3.4759 0.5686 0.3467  0.3565
13 C 3.2494 -3.5495 -0.9609  -1.1306
14 N 0.0108 1.6579 1.2989  -0.0612
15 H 5.1376 -1.1129 -1.6905  0.2486
16 C -3.0557 -1.6266 -6.4055  -1.3615
17 H 0.1219 3.3331 4.8031  0.5125
18 H -0.5099 -3.0181 -2.6726  -0.4866
19 H 2.7419 -3.9090 -1.8647  0.2474
20 C 1.1498 2.0777 3.3784  0.2210
21 H -1.3004 4.3427 -7.6091  0.4149
22 H 3.6600 0.9621 -1.3690  0.4903
23 H -3.8403 -2.3688 -6.6259  0.3504
24 C -0.9678 5.8401 -6.0726  0.7078
25 C 4.9656 -0.6539 -0.7039  -1.3946
26 H 1.9581 -2.2728 -2.9684  0.3100
27 H -1.7067 -1.0728 -4.7834  -0.1658
28 C -0.7210 8.0660 -6.9991  -0.3514
29 H -2.0081 -0.2588 -2.8775  0.6304
30 C -1.1750 6.3281 -8.4404  -0.3793
31 C 2.3345 2.0150 4.2091  -0.1595
32 H 2.6862 -0.6792 -4.7273  0.4064
33 C -1.0994 2.2314 1.8004  0.0907
34 N -0.9564 7.6187 -8.2269  -0.5336
35 P 2.1679 -0.9338 -1.0090  0.6278
36 C -1.7595 1.8098 -3.3935  -1.3511
37 H 4.9992 -1.4387 0.0654  0.3590
38 H 0.7680 -0.6422 -3.0035  -0.6490
39 H -2.6963 1.9283 -3.9439  0.5759
40 C 0.2714 2.8114 -2.4155  -1.8793
41 C -1.3354 0.5772 -2.8935  -0.3491
42 C -0.9991 4.0732 -4.0427  -1.6207
43 H 1.8791 1.4636 -2.1132  -0.0132
44 C -1.1689 5.4001 -7.3947  -0.3173
45 C 0.0512 0.3560 -2.6379  1.5198
46 H -1.3578 5.9957 -9.4601  0.3806
47 H -3.4311 -0.9609 -4.3404  0.4490
48 C 2.9418 -0.4668 -3.6735  -1.4801
49 H -0.7758 -5.0593 -4.9586  0.4521
50 H 0.8437 -4.6408 -4.3467  0.3625
51 P -2.5178 -3.1652 -4.0133  -0.2289
52 H 0.8812 3.6890 -2.1885  0.7590
53 C 2.4140 -2.5366 -0.1878  -0.5387
54 H 2.8729 0.6297 -3.5772  0.3020
55 H 2.8598 -2.2969 0.7916  0.4894
56 C -0.6975 7.2071 -5.8949  -0.4172
57 H -5.0043 -3.8408 -1.3085  0.3814
58 Mg -1.0515 2.0787 -0.8951  1.2273
59 C 1.0565 1.4285 2.1328  -0.3166
60 H -0.3571 -5.3664 -3.2560  0.3402
61 H -5.3329 -3.0295 -2.8573  0.3300
62 H -1.9864 3.3703 3.4032  0.4208
63 C -0.7141 -3.2680 -3.7251  0.7503
64 H -0.2297 -2.5120 -4.3588  0.2970
65 H -4.5995 -4.6541 -2.8371  0.3819
66 C 1.9501 -1.1950 -2.7794  0.2964
67 H -2.0313 2.1733 1.1961  0.5958
68 C -4.6286 -3.6816 -2.3250  -1.3466
69 H 5.7948 0.0436 -0.5165  0.4630
70 C -0.2223 -4.6684 -4.0918  -1.4789
71 N 3.2621 2.0118 4.9272  -0.3558
72 C 0.8118 1.5027 -2.2637  -0.3734
73 C -1.0046 4.9207 -4.9328  0.2932
74 H -0.5385 9.1303 -6.8613  0.3727
75 H -3.2181 -2.0255 -1.9240  0.0664
76 H -2.5596 -3.6647 -1.6462  0.3591
77 H 3.9931 -0.7673 -3.5037  0.3724
78 C -1.0923 2.8519 3.0638  -1.0412
79 C -0.8825 2.9005 -3.2733  1.6863
80 Br -0.4981 -1.1291 -0.7136  -0.3286

# 2
This record from the Open Molecules 2025 dataset describes 4 unconnected molecules or ions with the total composition C15H36BNO10PS in a non-equilibrium geometry. The level of theory is ωB97M-V/def2-TZVPD.

Computed properties:
HOMO energy, Eh: -0.4668
Maximum force, Eh/bohr: 0.0428
Total charge: +1
HOMO-LUMO gap, eV: 9.034

Last column: natural (NBO) charge in e.
CARTESIAN COORDINATES (ANGSTROEM)
1 H -1.0489 -6.4219 -4.9021  0.2059
2 C -1.2417 -5.8251 -4.0148  -0.2587
3 P -0.0554 -0.2905 2.0885  0.7762
4 S -0.2373 0.4881 0.1352  -0.2302
5 O 4.4694 3.9039 -0.3139  -0.6264
********
Here it is:
1